The cryptocurrency world is maturing. Despite the recent slide in value of Bitcoin and others crypto is here to stay. The government has come to realize this. President Biden issued an executive order recently directing federal agencies to sort out who will be in charge of what in regard to crypto regulation and a digital US currency. As one might have expected crypto promoters are busy lobbying for the features that they want in any legislation and regulatory schemes. As the real crypto regulation fight begins one may wish to pay close attention as the outcome will determine the future of Bitcoin and the rest.
Who Is Leading the Crypto Charge in Congress?
Two US senators are co-sponsoring legislation that has to do with cryptocurrency regulation. As noted in an article in Politico, crypto lobbying has accelerated as the bill created by Senators Cynthia Lummis of Wyoming and Kirsten Gillibrand of New York is ready to go to committees. Not surprisingly, both Lummis and Gillibrand want their states to be central in the world of cryptocurrencies. As Politico notes, the details of the proposed legislation will give us hints as which lobbyists will be most influential in getting the final results that they want.
## Records of crystals, kept here for reference
____________
No. 1
Starting from a GGA-PBE-relaxed structure, the X-ray powder pattern of BaLaTiCuO6 was calculated for λ = 1.5418 Å (Cu Kα).
Neutral-atom scattering factors, no anomalous dispersion.

Cell and atoms:
```
BaLaTiCuO6
1.0
0.000 3.974 3.974
3.974 0.000 3.974
3.974 3.974 0.000
Ba La Ti Cu O
1 1 1 1 6
direct
0.000 0.000 0.000 Ba
0.500 0.500 0.500 La
0.750 0.750 0.750 Ti
0.250 0.250 0.250 Cu
0.503 0.503 0.997 O
0.503 0.997 0.503 O
0.503 0.997 0.997 O
0.997 0.503 0.503 O
0.997 0.503 0.997 O
0.997 0.997 0.503 O
```

Principal peaks in the range 2θ = 5–70°, sorted by position:
Position (°2θ), intensity
19.3, 1
22.4, 13
31.8, 100
37.5, 1
39.3, 19
45.7, 33
51.4, 7
56.7, 38
66.6, 20

No. 2
Starting from a GGA-PBE-relaxed structure, the X-ray powder pattern of Ba2LaTlCu2O7 was calculated for λ = 1.5418 Å (Cu Kα).
Neutral-atom scattering factors, no anomalous dispersion.

Cell and atoms:
```
Ba2LaTlCu2O7
1.0
3.946 0.000 0.000
0.000 12.854 0.000
0.000 0.000 3.975
Ba La Tl Cu O
2 1 1 2 7
direct
0.000 0.204 0.000 Ba
0.000 0.796 0.000 Ba
0.000 0.500 0.996 La
0.500 0.000 0.566 Tl
0.500 0.360 0.496 Cu
0.500 0.640 0.496 Cu
0.000 0.000 0.882 O
0.000 0.377 0.498 O
0.000 0.623 0.498 O
0.500 0.166 0.487 O
0.500 0.377 0.996 O
0.500 0.623 0.996 O
0.500 0.834 0.487 O
```

Principal peaks in the range 2θ = 5–70°, sorted by position:
Position (°2θ), intensity
30.7, 81
30.8, 82
32.0, 100
34.9, 19
42.8, 24
45.6, 22
46.0, 26
53.9, 27
56.1, 28
56.3, 30

No. 3
Starting from a GGA-PBE-relaxed structure, the X-ray powder pattern of BaLaCuS3 was calculated for λ = 1.5418 Å (Cu Kα).
Neutral-atom scattering factors, no anomalous dispersion.

Cell and atoms:
```
BaLaCuS3
1.0
11.353 0.000 0.000
0.000 4.258 0.000
0.000 0.000 11.893
Ba La Cu S
4 4 4 12
direct
0.183 0.250 0.008 Ba
0.317 0.750 0.508 Ba
0.683 0.250 0.492 Ba
0.817 0.750 0.992 Ba
0.010 0.250 0.682 La
0.490 0.750 0.182 La
0.510 0.250 0.818 La
0.990 0.750 0.318 La
0.248 0.750 0.792 Cu
0.252 0.250 0.292 Cu
0.748 0.750 0.708 Cu
0.752 0.250 0.208 Cu
0.051 0.750 0.849 S
0.111 0.250 0.440 S
0.225 0.750 0.204 S
0.275 0.250 0.704 S
0.389 0.750 0.940 S
0.449 0.250 0.349 S
0.551 0.750 0.651 S
0.611 0.250 0.060 S
0.725 0.750 0.296 S
0.775 0.250 0.796 S
0.889 0.750 0.560 S
0.949 0.250 0.151 S
```

Principal peaks in the range 2θ = 5–70°, sorted by position:
Position (°2θ), intensity
23.8, 47
24.7, 58
26.9, 53
27.2, 70
30.2, 45
31.8, 100
35.0, 41
37.7, 41
41.1, 32
42.5, 51

No. 4
Starting from a GGA-PBE-relaxed structure, the X-ray powder pattern of BaLaCuSe3 was calculated for λ = 1.5418 Å (Cu Kα).
Neutral-atom scattering factors, no anomalous dispersion.

Cell and atoms:
```
BaLaCuSe3
1.0
11.247 0.000 0.000
0.000 4.310 0.000
0.000 0.000 14.032
Ba La Cu Se
4 4 4 12
direct
0.228 0.250 0.004 Ba
0.272 0.750 0.504 Ba
0.728 0.250 0.496 Ba
0.772 0.750 0.996 Ba
0.010 0.750 0.260 La
0.490 0.250 0.760 La
0.510 0.750 0.240 La
0.990 0.250 0.740 La
0.241 0.750 0.783 Cu
0.259 0.250 0.283 Cu
0.741 0.750 0.717 Cu
0.759 0.250 0.217 Cu
____________
Hyping Legislation to the Crypto Public and Others
Senator Lummis has been especially active promoting how she wants a US digital currency to turn out. She has spoken at crypto festivals nationwide and appeared in podcasts before industry groups. Senator Gillibrand came along to co-sponsor in March of 2022 providing a bipartisan front. A serious problem with this legislation is that the vast majority of senators and representatives do not have a comprehensive understanding of cryptocurrencies or how a digital US currency would or should work. Thus, they will be “educated” by lobbyists who are the ones most likely to benefit financially if their “suggestions” go into the final legislation. This is how it always works which is why we commonly see problems with legislation, problems that need to get fixed with subsequent legislation, regulatory action, or executive orders.
-- What comes next are records of crystals, not part of the text --
********
Diffraction record for PaPd6Au4. The PXRD pattern is simulated, not measured: it uses a structure optimized by DFT (PBE) and Cu Ka.
Neutral-atom scattering factors, no anomalous dispersion.

Structure:
```
22
Lattice="2.4679 -4.3543 0.0000 2.4679 4.3543 0.0000 -0.7038 0.0000 18.4847" Properties=species:S:1:pos:R:3 pbc="T T T"
Pa 1.9400 3.1247 13.8635
Pa 2.2919 -3.1247 4.6212
Pd 1.3339 1.4518 6.8436
Pd 2.2919 2.7352 4.6212
Pd 0.8296 0.0005 2.4817
Pd 0.4778 -0.0005 11.7240
Pd 0.9821 -1.4518 16.0859
Pd 2.4679 0.0000 0.0000
Pd 2.1160 0.0000 9.2424
Pd 3.2499 1.4518 2.3988
Pd 3.7542 0.0005 6.7607
Pd 3.4023 -0.0005 16.0031
Pd 1.9400 -2.7352 13.8635
Pd 2.8980 -1.4518 11.6412
Au 2.1001 2.9243 9.2649
Au 0.9723 1.3747 16.1408
Au 1.7800 2.9243 18.4622
Au 1.3242 -1.3747 6.8984
Au 2.9078 1.3747 11.5863
Au 2.4520 -2.9243 0.0225
Au 3.2597 -1.3747 2.3439
Au 2.1319 -2.9243 9.2199
```

Largest 12 diffraction maxima, low angle first, 10° ≤ 2θ ≤ 90°:
37.05°, 2.427 Å, I = 21.8
37.41°, 2.404 Å, I = 100.0
38.98°, 2.311 Å, I = 93.1
40.68°, 2.218 Å, I = 94.4
40.81°, 2.211 Å, I = 51.2
41.37°, 2.182 Å, I = 67.0
42.18°, 2.142 Å, I = 59.3
46.30°, 1.961 Å, I = 39.0
65.22°, 1.431 Å, I = 39.4
71.27°, 1.323 Å, I = 22.2
77.27°, 1.235 Å, I = 25.0
77.70°, 1.229 Å, I = 22.6

~~~~~

Diffraction record for Na2AgSb. The powder X-ray diffraction pattern is computed, not measured: it uses a GGA-PBE-relaxed structure and Cu Ka.
Neutral-atom scattering factors, no anomalous dispersion.

Structure:
a b c (Å): 6.1229 6.1229 5.8336
angles (deg): 90.00 90.00 80.55
Atoms (fractional coordinates):
Na 0.0286 0.3288 0.2500
Na 0.3288 0.0286 0.7500
Na 0.6712 0.9714 0.2500
Na 0.9714 0.6712 0.7500
Ag 0.5000 0.5000 0.0000
Ag 0.5000 0.5000 0.5000
Sb 0.2078 0.7922 0.2500
Sb 0.7922 0.2078 0.7500

Top 12 peaks for 2θ from 10° to 90°, by intensity:
19.00°, I = 100.0; 21.17°, I = 74.4; 34.14°, I = 55.1; 34.56°, I = 52.3; 43.12°, I = 49.6; 35.34°, I = 48.9; 38.33°, I = 43.6; 14.67°, I = 40.5; 55.49°, I = 26.8; 38.54°, I = 19.8; 33.41°, I = 19.4; 30.85°, I = 17.6

~~~~~

Structure and simulated powder XRD pattern of BaHoMg17 (a DFT-relaxed cell (GGA-PBE, Alexandria); λ = 1.5418 Å (Cu Kα)).

Atomic structure:
Cell: 7.9003 7.9003 7.9003 Å, 82.45 82.45 82.45°
Atoms (fractional coordinates):
1 Ba 0.0000 0.0000 0.0000
2 Ho 0.6640 0.6640 0.6640
3 Mg 0.0345 0.3410 0.6331
4 Mg 0.0345 0.6331 0.3410
5 Mg 0.1918 0.6819 0.6819
6 Mg 0.2412 0.2412 0.2412
7 Mg 0.3335 0.3335 0.8392
8 Mg 0.3335 0.8392 0.3335
9 Mg 0.3410 0.0345 0.6331
10 Mg 0.3410 0.6331 0.0345
11 Mg 0.4380 0.4380 0.4380
12 Mg 0.5058 0.9795 0.9795
13 Mg 0.6331 0.0345 0.3410
14 Mg 0.6331 0.3410 0.0345
15 Mg 0.6819 0.1918 0.6819
16 Mg 0.6819 0.6819 0.1918
17 Mg 0.8392 0.3335 0.3335
18 Mg 0.9795 0.5058 0.9795
19 Mg 0.9795 0.9795 0.5058

Principal peaks in the range 2θ from 10° to 80°, in order of rising 2θ:
2θ = 11.38°, rel. 24.5
2θ = 15.14°, rel. 22.6
2θ = 17.03°, rel. 43.4
2θ = 24.37°, rel. 80.7
2θ = 29.72°, rel. 50.6
2θ = 34.45°, rel. 54.3
********
What Do Crypto Lobbyists Want?
The lure of Bitcoin and the rest has been a financial system free from traditional stake holders like banks and government regulators. The wish to retain and legalize a decentralized system free of oversight seems to be at the root of what lobbyists want. Crypto promoters want the law to shield them from the rules that apply to the rest of the financial world. This issue will become more and more important as DeFi expands and crypto become integral to many parts of the developing Metaverse.
What Do the Senators Want?
The job of a US Senator is to represent the people of their state and get everything they can for their constituents. Robert Byrd of West Virginia proudly displayed a map of all of the road project in his state that he got financed by the federal government. Senator Lummis wants Wyoming to be the Mecca for cryptocurrencies in the USA. Senator Gillibrand argues that New York is already the financial capital of the country if not of the world so adding crypto to the mix is simply a no-brainer. Meanwhile the legislature in Wyoming is working on legislation to make decentralized trading platforms and crypto banks locate there. The mayor of New York City, Eric Adams, made a point of investing his first paychecks in Bitcoin. We expect that as Bitcoin has plunged he has rethought this course of action.
Who Will Regulate and What Will the Rules Be?
The Securities and Exchange Commission head, Gary Gensler, has been adamant that digital assets will fall under his jurisdiction. Industry lobbyists are working on creating loopholes to prevent the degree of control that Gensler probably envisions. One suggestion is that any crypto transaction less that $600 will be exempt from any oversight. That is likely to attract attention from the IRS which taxes crypto capital gains. A big problem as seen by the President when he issued his executive order is that there are laws and regulations that pretty much cover all crypto issues. But they are not all under one governmental “roof.” The point of the executive order is to get all of the regulatory ducks in a row and then be ready for the onslaught of lobbying. Not all of the infighting will be between lobbyists and members of Congress but between various crypto interest groups who all want any forthcoming legislation to benefit their particular causes.
Crypto Regulation Fight Begins – SlideShare Version